Livestock markets update

Livestock agent ROSS ELLIS of McDougall and Sons brings us an update on the local lamb and cattle markets from last week…

Cattle numbers were back this week as rain, holidays and the availability of stock led to 575 head being yarded for the cattle sale.

Numbers were still good in the feed on and back to the paddock style of cattle.

The quality was the determining factor for most categories.

The full panel of buyers were in attendance as well as a line up of re-stockers.

Sheep and Lamb numbers were the opposite as 1227 head met the market with the exporters as well as re-stockers keeping the rates viable.

Pork numbers were stable as well as poultry which always provides the volume.

Cattle numbers

Vealer steers averaged 594.2c/kg topping at 784.2c/kg or $1525.24 to $2132.00

Vealer heifers averaged 558.2c/kg topping at 635.2c/kg or $1506.89 to $1889.12

Feeder steers averaged 530.5c/kg topping at 628.2c/kg or $2038.77 to $2310.84

Feeder heifers averaged 451.7c/kg topping at 548.2c/kg or $1938.74 to $2360.60

Yearling steers averaged 612.4c/kg topping at 700.2c/kg or $1838.10 to $2300.00

Yearling heifers averaged 538c/kg topping at 596.2c/kg or $1954.18 to $2331.28

Steers averaged 439.6c/kg topping at 528.2c/kg or $2602.04 to $3028.23

Heifers averaged 416.8c/kg topping at 538.2c/kg or $1841.71 to $2529.54

Cows averaged 306.3c/kg topping at 370c/kg or $1609.67 to $2713.60

Bulls averaged 406.4c/kg topping at 590c/kg or $1870.41to $3184.40

The sale average was $1819.39 across the yarding.

Sheep and lamb numbers

Sheep and Lamb numbers rose to 1227 head with a good blend of processing as well as back to the paddock or feed on types available.

The buyers were reasonably consistent on previous sales with the only price differentials being for finish or female replacements for back to the paddock .

Lambs topped at $230 to average $170.52 a rise of $9/head week on week

Hoggets topped at $200 to average $144.01 a drop of $19/head week on week

Ewes topped at $177 to average $104.57 a drop of $34/head week on week

Wethers topped at $187 to average $110.52 a drop of $52/head week on week

Lamb rams topped at $189 to average $161.55 a drop of $2/head week on week

The sale averaged $142.62/head a drop of $18/head on the last week’s sale.

Pig and poultry numbers

== These records of molecules were left in the entry by mistake ==
~~~
Version P
Here is an isolated ion of composition C5H14N2 and charge +2 from the OMol25 dataset. Energies are from wB97M-V/def2-TZVPD.

Properties
**Gap between HOMO and LUMO**: 11.643 eV
**Multiplicity**: 1
**Charge**: +2

Element x y z (Å)
C -1.317 -1.975 -0.248
C -0.154 -1.127 -0.734
N 0.773 -1.810 -1.746
C 0.464 -0.480 0.577
C 0.645 0.983 0.547
C -0.253 1.826 1.037
N 0.229 3.312 1.204
H -2.223 -1.200 -0.420
H -1.968 -2.632 -1.008
H -1.257 -2.492 0.711
H -0.616 -0.263 -1.330
H 1.438 -1.358 -2.417
H 0.171 -2.206 -2.508
H 1.264 -2.702 -1.321
H 1.380 -1.023 0.753
H -0.138 -0.603 1.611
H 1.662 1.109 0.127
H -1.210 1.727 1.411
H -0.635 3.952 1.052
H 1.056 3.599 0.498
H 0.691 3.362 2.204

Results of the Mulliken charge analysis, in e, for atoms 1 through 4: number 1, C, carries -1.202; number 2, C, carries 0.153; number 3, N, carries -0.362; number 4, C, carries -1.015

=====

Version Q
Here is an isolated ion of composition C5H14N2 and charge +2 from the OMol25 dataset. Energies are from wB97M-V/def2-TZVPD.

Properties
**Gap between HOMO and LUMO**: 9.971 eV
**Multiplicity**: 1
**Charge**: +2

Element x y z (Å)
C -1.237 -1.172 -1.390
C 0.059 -1.011 -1.097
N 1.230 -1.659 -1.836
C 0.584 0.238 -0.352
C -0.370 0.562 0.851
C 0.349 0.277 2.183
N -0.845 2.037 0.845
H -1.702 -2.153 -1.336
H -2.035 -0.423 -1.535
H 2.123 -1.250 -1.550
H 1.039 -1.512 -2.832
H 1.347 -2.678 -1.740
H 0.629 1.055 -1.081
H 1.550 -0.062 0.060
H -1.320 0.041 0.768
H -0.498 0.259 2.895
H 0.925 -0.642 2.163
H 1.021 1.060 2.527
H -0.116 2.717 0.606
H -1.202 2.329 1.756
H -1.530 1.987 0.093

Results of the Mulliken charge analysis, in e, for atoms 1 through 4: number 1, C, carries -0.922; number 2, C, carries 0.390; number 3, N, carries -0.215; number 4, C, carries -0.810

=====

Which one is most stable, and which one is least stable? version Q is the most stable of them, while version P is the least stable.

* * * * *

[1]
DFT (ωB97M-V/def2-TZVPD) results for one molecule with the formula CH6NO2P in a non-equilibrium geometry.

## Properties
F_max: 5.8 eV/A
SMILES: NC[P@@H](=O)O
relative energy (zero: lowest compared OMol25 entry of this formula, charge and spin): 33.3 kcal per mole
charge: 0
HOMO-LUMO gap: 10.06 eV

Bonds (Å) are listed after each position.
Cartesian coordinates (Å):
1 C 0.4615 0.7581 -0.2779  N2 1.423, P5 1.784, H6 1.135, H7 1.120
2 N 1.5267 -0.0713 0.1719  C1 1.423, H9 0.997, H10 0.993
3 O -2.1997 0.9503 0.5544  P5 1.563
4 O -1.0534 -1.2442 -0.5919  P5 1.634, H8 1.042
5 P -0.9659 -0.0064 0.4709  C1 1.784, O3 1.563, O4 1.634, H11 1.393
6 H 0.4134 1.8117 0.1421  C1 1.135
7 H 0.4475 0.7970 -1.3973  C1 1.120
8 H -1.9676 -1.6972 -0.8034  O4 1.042
9 H 2.3982 0.1405 -0.2626  N2 0.997
10 H 1.2801 -1.0168 0.3498  N2 0.993
11 H -0.3407 -0.4219 1.6440  P5 1.393

Atom charges from the Mulliken analysis, given in e for atoms 1 to 2: -0.22, -0.51

---

[2]
DFT (ωB97M-V/def2-TZVPD) results for a 2-piece molecular cluster, CH6NOS overall in a non-equilibrium geometry.
~~~

Sows sold from $195 to $440, Boars sold from $142 to $172, Stores sold from $54 to $130.

Drakes sold to $270.50, Ducks to $22.50, Turkeys to $12.50, Peacocks sold to $30, Roosters sold to $17.50, Guinea Fowl sold to $17.50

McDougall and Sons sheep and lamb report

Agents today yarded 1227 head to the weekly market , the yarding was a balance of sheep and lambs of roughly 50/50, with the lamb section containing some small runs of heavy lambs and larger runs of light lambs.

The breakdown in the breeds was higher than seen for a while for presentation of British Breed lambs.

Dorpers still made up the majority and again there was a few runs of light trade and feed on lambs as well as some heavier types.

Sheep saw some decent numbers of Merinos yarded as well as a few good breeding Xbred ewes.

• Phil & Gabe Byrnes sold Dorper ewe lambs 40.5kg to restockers for $199, wether lambs 43.5kg to Highchester Meats for $183, ewes to restockers for $156

• Jon & Regina Henry sold Dorper x lambs off feed 46.25kg to Leslie Lamb for $188

• John & Marion Skinner sold Dorset lambs 60kg to Take It Easy Meats for $216, 47.5kg to GR Prime for $168, ewe hoggets 76.6kg to Grants Quality Meats for $193

• Phil & Mary Devereux sold Dorset lambs 60kg to Thomas Foods for $206, 80kg hoggets to restockers for $185

• Sally Cadalora sold Dorper x lambs 46.4kg to restockers for $171

• Malcolm & Pam Turner sold Dorset lambs 40kg to GR Prime for $140

• George & Rowena Winks sold Dorper x lambs 58.75kg to Thomas Foods for $205, 46.87kg to Leslie Lamb for $183, 40.8kg to GR Prime for $155, 43.12kg to GR Prime for $145,42.5kg to GR Prime for $130, 34.4kg to restockers for $ 160 , 51.25kg ram lambs to restockers for $186, 41.32kg to restockers for $163 and $150, and GR Prime for $150, ewe lambs 33.82 kg to restockers for $189, 30.4kg to restockers for $188, mixed sex 20.45kg to restockers for $124, hoggets 58.75kg to restockers for $180

• Rangemore Estate sold Dorper x lambs 48kg to Thomas Foods for $180, 48kg ram lambs to restockers for $171

• JCD Pastoral sold Dorper x lambs 44.4kg to GR Prime for $179.50

• Camrose P/S sold Dorper x lambs 45.5kg to GR Prime for $167, 40kg to Highchester Meats for $160, 48.5kg hoggets to Warwick Meats for $163, 56.1kg ram lambs to restockers for $189, 48.8kg ram lambs to Whites Trading for $156, 50kg hoggets to Whites Trading for $180 and $166

• Shelley F/T sold 64.5kg Dorper x lambs to Thomas Foods for $221, 60kg Dorset x lambs to Thomas Foods for $215